(Data)
-- begin --
Below is an optimized crystal structure of Ce2ErPuSb4, with properties calculated at the PBE level.

Output
The value obtained for the formation energy (no corrections) is -0.830 eV/atom.

Cell: 7.6272 4.4213 7.6449 Å, 90.00 90.15 90.00°
Positions (direct):
Ce (0.0000, 0.0000, 0.0000)
Ce (0.5000, 0.5000, 0.5000)
Er (0.0000, 0.0000, 0.5000)
Pu (0.5000, 0.5000, 0.0000)
Sb (0.1612, 0.5000, 0.2565)
Sb (0.3300, 0.0000, 0.7484)
Sb (0.6700, 0.0000, 0.2516)
Sb (0.8388, 0.5000, 0.7435)

---

Below is an optimized crystal structure of Ce3ErPu2Se6, with properties calculated at the PBE level.

Output
The value obtained for the formation energy (no corrections) is -1.710 eV/atom.

Cell: 7.1856 7.1856 7.2318 Å, 99.53 99.53 120.03°
Positions (direct):
Ce (0.0000, 0.0000, 0.0000)
Ce (0.3313, 0.6687, 0.0000)
Ce (0.6687, 0.3313, 0.0000)
Er (0.5000, 0.5000, 0.5000)
Pu (0.1661, 0.8339, 0.5000)
Pu (0.8339, 0.1661, 0.5000)
Se (0.0913, 0.4203, 0.2603)
Se (0.2523, 0.2523, 0.7428)
Se (0.4203, 0.0913, 0.2603)
Se (0.5797, 0.9087, 0.7397)
Se (0.7477, 0.7477, 0.2572)
Se (0.9087, 0.5797, 0.7397)

---

Below is an optimized crystal structure of CeEr3Pu2Se6, with properties calculated at the PBE level.

Output
The value obtained for the formation energy (no corrections) is -1.693 eV/atom.

Cell: 9.2113 9.2113 8.2666 Å, 104.06 104.06 25.53°
Positions (direct):
Ce (0.0000, 0.0000, 0.0000)
Er (0.0000, 0.0000, 0.5000)
Er (0.3332, 0.3332, 0.1674)
Er (0.6668, 0.6668, 0.8326)
Pu (0.3340, 0.3340, 0.6686)
Pu (0.6660, 0.6660, 0.3314)
Se (0.1651, 0.1651, 0.5874)
Se (0.1701, 0.1701, 0.0780)
Se (0.4976, 0.4976, 0.2593)
Se (0.5024, 0.5024, 0.7407)
Se (0.8299, 0.8299, 0.9220)
Se (0.8349, 0.8349, 0.4126)

---

Below is an optimized crystal structure of CeEr2PuSe4, with properties calculated at the PBE level.

Output
The value obtained for the formation energy (no corrections) is -1.712 eV/atom.

Cell: 7.0506 4.0699 7.2193 Å, 90.00 108.97 90.00°
Positions (direct):
Ce (0.0000, 0.0000, 0.0000)
Er (0.0000, 0.5000, 0.5000)
Er (0.5000, 0.0000, 0.5000)
Pu (0.5000, 0.5000, 0.0000)
Se (0.2484, 0.0000, 0.7386)
Se (0.2568, 0.5000, 0.2636)
Se (0.7432, 0.5000, 0.7364)
Se (0.7516, 0.0000, 0.2614)

---

Below is an optimized crystal structure of CeSmErPu, with properties calculated at the PBE level.

Output
The calculation puts the formation energy at 0.27 eV per atom.

Cell: 5.5970 5.5970 5.5970 Å, 60.00 60.00 60.00°
Positions (direct):
Ce (0.0000, 0.0000, 0.0000)
Sm (0.2500, 0.2500, 0.2500)
Er (0.7500, 0.7500, 0.7500)
Pu (0.5000, 0.5000, 0.5000)

---

Below is an optimized crystal structure of CeErPuSn, with properties calculated at the PBE level.

Output
The calculation puts the formation energy at -0.18 eV per atom.

Cell: 5.2973 5.2973 5.2973 Å, 60.00 60.00 60.00°
Positions (direct):
Ce (0.0000, 0.0000, 0.0000)
Er (0.7500, 0.7500, 0.7500)
Pu (0.2500, 0.2500, 0.2500)
Sn (0.5000, 0.5000, 0.5000)

---

Below is an optimized crystal structure of TbCeErPu, with properties calculated at the PBE level.

Output
The calculation puts the formation energy at 0.27 eV per atom.

Cell: 5.5611 5.5611 5.5611 Å, 60.00 60.00 60.00°
Positions (direct):
Tb (0.0000, 0.0000, 0.0000)
Ce (0.7500, 0.7500, 0.7500)
Er (0.5000, 0.5000, 0.5000)
Pu (0.2500, 0.2500, 0.2500)

---

Below is an optimized crystal structure of Ce2ErPu3Te6, with properties calculated at the PBE level.

Output
The value obtained for the formation energy (no corrections) is -1.207 eV/atom.

Cell: 9.9073 9.9073 8.8859 Å, 102.63 102.63 25.78°
Positions (direct):
Ce (0.1665, 0.1665, 0.3355)
Ce (0.8335, 0.8335, 0.6645)
Er (0.5000, 0.5000, 0.0000)
Pu (0.1693, 0.1693, 0.8354)
Pu (0.5000, 0.5000, 0.5000)
Pu (0.8307, 0.8307, 0.1646)
Te (0.0020, 0.0020, 0.7570)
Te (0.3341, 0.3341, 0.4116)
Te (0.3363, 0.3363, 0.9211)
Te (0.6637, 0.6637, 0.0789)
Te (0.6659, 0.6659, 0.5884)
Te (0.9980, 0.9980, 0.2430)

---

Below is an optimized crystal structure of Ce3ErPu2Te6, with properties calculated at the PBE level.

Output
-- stop --
(To do)
It remains to restate the contents further above exactly.
(Response)
Below is an optimized crystal structure of Ce2ErPuSb4, with properties calculated at the PBE level.

Output
The value obtained for the formation energy (no corrections) is -0.830 eV/atom.

Cell: 7.6272 4.4213 7.6449 Å, 90.00 90.15 90.00°
Positions (direct):
Ce (0.0000, 0.0000, 0.0000)
Ce (0.5000, 0.5000, 0.5000)
Er (0.0000, 0.0000, 0.5000)
Pu (0.5000, 0.5000, 0.0000)
Sb (0.1612, 0.5000, 0.2565)
Sb (0.3300, 0.0000, 0.7484)
Sb (0.6700, 0.0000, 0.2516)
Sb (0.8388, 0.5000, 0.7435)

---

Below is an optimized crystal structure of Ce3ErPu2Se6, with properties calculated at the PBE level.

Output
The value obtained for the formation energy (no corrections) is -1.710 eV/atom.

Cell: 7.1856 7.1856 7.2318 Å, 99.53 99.53 120.03°
Positions (direct):
Ce (0.0000, 0.0000, 0.0000)
Ce (0.3313, 0.6687, 0.0000)
Ce (0.6687, 0.3313, 0.0000)
Er (0.5000, 0.5000, 0.5000)
Pu (0.1661, 0.8339, 0.5000)
Pu (0.8339, 0.1661, 0.5000)
Se (0.0913, 0.4203, 0.2603)
Se (0.2523, 0.2523, 0.7428)
Se (0.4203, 0.0913, 0.2603)
Se (0.5797, 0.9087, 0.7397)
Se (0.7477, 0.7477, 0.2572)
Se (0.9087, 0.5797, 0.7397)

---

Below is an optimized crystal structure of CeEr3Pu2Se6, with properties calculated at the PBE level.

Output
The value obtained for the formation energy (no corrections) is -1.693 eV/atom.

Cell: 9.2113 9.2113 8.2666 Å, 104.06 104.06 25.53°
Positions (direct):
Ce (0.0000, 0.0000, 0.0000)
Er (0.0000, 0.0000, 0.5000)
Er (0.3332, 0.3332, 0.1674)
Er (0.6668, 0.6668, 0.8326)
Pu (0.3340, 0.3340, 0.6686)
Pu (0.6660, 0.6660, 0.3314)
Se (0.1651, 0.1651, 0.5874)
Se (0.1701, 0.1701, 0.0780)
Se (0.4976, 0.4976, 0.2593)
Se (0.5024, 0.5024, 0.7407)
Se (0.8299, 0.8299, 0.9220)
Se (0.8349, 0.8349, 0.4126)

---

Below is an optimized crystal structure of CeEr2PuSe4, with properties calculated at the PBE level.

Output
The value obtained for the formation energy (no corrections) is -1.712 eV/atom.

Cell: 7.0506 4.0699 7.2193 Å, 90.00 108.97 90.00°
Positions (direct):
Ce (0.0000, 0.0000, 0.0000)
Er (0.0000, 0.5000, 0.5000)
Er (0.5000, 0.0000, 0.5000)
Pu (0.5000, 0.5000, 0.0000)
Se (0.2484, 0.0000, 0.7386)
Se (0.2568, 0.5000, 0.2636)
Se (0.7432, 0.5000, 0.7364)
Se (0.7516, 0.0000, 0.2614)

---

Below is an optimized crystal structure of CeSmErPu, with properties calculated at the PBE level.

Output
The calculation puts the formation energy at 0.27 eV per atom.

Cell: 5.5970 5.5970 5.5970 Å, 60.00 60.00 60.00°
Positions (direct):
Ce (0.0000, 0.0000, 0.0000)
Sm (0.2500, 0.2500, 0.2500)
Er (0.7500, 0.7500, 0.7500)
Pu (0.5000, 0.5000, 0.5000)

---

Below is an optimized crystal structure of CeErPuSn, with properties calculated at the PBE level.

Output
The calculation puts the formation energy at -0.18 eV per atom.

Cell: 5.2973 5.2973 5.2973 Å, 60.00 60.00 60.00°
Positions (direct):
Ce (0.0000, 0.0000, 0.0000)
Er (0.7500, 0.7500, 0.7500)
Pu (0.2500, 0.2500, 0.2500)
Sn (0.5000, 0.5000, 0.5000)

---

Below is an optimized crystal structure of TbCeErPu, with properties calculated at the PBE level.

Output
The calculation puts the formation energy at 0.27 eV per atom.

Cell: 5.5611 5.5611 5.5611 Å, 60.00 60.00 60.00°
Positions (direct):
Tb (0.0000, 0.0000, 0.0000)
Ce (0.7500, 0.7500, 0.7500)
Er (0.5000, 0.5000, 0.5000)
Pu (0.2500, 0.2500, 0.2500)

---

Below is an optimized crystal structure of Ce2ErPu3Te6, with properties calculated at the PBE level.

Output
The value obtained for the formation energy (no corrections) is -1.207 eV/atom.

Cell: 9.9073 9.9073 8.8859 Å, 102.63 102.63 25.78°
Positions (direct):
Ce (0.1665, 0.1665, 0.3355)
Ce (0.8335, 0.8335, 0.6645)
Er (0.5000, 0.5000, 0.0000)
Pu (0.1693, 0.1693, 0.8354)
Pu (0.5000, 0.5000, 0.5000)
Pu (0.8307, 0.8307, 0.1646)
Te (0.0020, 0.0020, 0.7570)
Te (0.3341, 0.3341, 0.4116)
Te (0.3363, 0.3363, 0.9211)
Te (0.6637, 0.6637, 0.0789)
Te (0.6659, 0.6659, 0.5884)
Te (0.9980, 0.9980, 0.2430)

---

Below is an optimized crystal structure of Ce3ErPu2Te6, with properties calculated at the PBE level.

Output